____________
# 1
Material: YAl4Ni
Method: DFT, r²SCAN
State: relaxed

Calculated values
Its total energy is -0.76856 Ry per atom. For the formation energy, the calculation gives -0.586 eV/atom.

a b c (Å): 4.0482 6.5621 7.9401
angles (deg): 90.00 104.77 90.00
With the nearest neighbours (Å) after each atom.
Atoms (fractional coordinates):
Y: 0.3825 0.7500 0.7651  13 Al 2.99-3.34, 2 Ni 3.14
Y: 0.6175 0.2500 0.2349  13 Al 2.99-3.34, 2 Ni 3.14
Al: 0.8105 0.0533 0.6211  3 Ni 2.37-2.47, 1 Al 2.58
Al: 0.1895 0.9467 0.3789  3 Ni 2.37-2.47, 1 Al 2.58
Al: 0.1895 0.5533 0.3789  3 Ni 2.37-2.47, 1 Al 2.58
Al: 0.8105 0.4467 0.6211  3 Ni 2.37-2.47, 1 Al 2.58
Al: 0.0000 0.5000 0.0000  6 Al 2.86-2.93, 4 Y 3.17
Al: 0.0000 0.0000 0.0000  6 Al 2.86-2.93, 4 Y 3.17
Al: 0.4229 0.2500 0.8458  1 Ni 2.29
Al: 0.5771 0.7500 0.1542  1 Ni 2.29
Ni: 0.2737 0.2500 0.5475  7 Al 2.29-2.47
Ni: 0.7263 0.7500 0.4525  7 Al 2.29-2.47

***

# 2
Material: YbAl2Ni
Method: DFT, r²SCAN
State: relaxed

Calculated values
Its total energy is -1.19052 Ry per atom. For the formation energy, the calculation gives -0.704 eV/atom.

a b c (Å): 5.3207 5.3207 6.8177
angles (deg): 90.00 90.00 135.65
With the nearest neighbours (Å) after each atom.
Atoms (fractional coordinates):
Yb: 0.4370 0.5630 0.2500  3 Ni 2.73-2.98, 4 Al 3.02
Yb: 0.5630 0.4370 0.7500  3 Ni 2.73-2.98, 4 Al 3.02
Al: 0.8456 0.1544 0.9460  3 Ni 2.44-2.48, 1 Al 2.67
Al: 0.1544 0.8456 0.0540  3 Ni 2.44-2.48, 1 Al 2.67
Al: 0.1544 0.8456 0.4460  3 Ni 2.44-2.48, 1 Al 2.67
Al: 0.8456 0.1544 0.5540  3 Ni 2.44-2.48, 1 Al 2.67
Ni: 0.7142 0.2858 0.2500  6 Al 2.44-2.48, 1 Yb 2.73
Ni: 0.2858 0.7142 0.7500  6 Al 2.44-2.48, 1 Yb 2.73

***

# 3
Material: Yb2AlNi2
Method: DFT, r²SCAN
State: relaxed

Calculated values
Its total energy is -1.57004 Ry per atom. For the formation energy, the calculation gives -0.611 eV/atom.

a b c (Å): 4.1386 5.2374 5.2374
angles (deg): 60.59 66.73 66.73
With the nearest neighbours (Å) after each atom.
Atoms (fractional coordinates):
Yb: 0.2022 0.2978 0.2978  6 Ni 2.78-2.91, 2 Al 3.10
Yb: 0.7978 0.7022 0.7022  6 Ni 2.78-2.91, 2 Al 3.10
Al: 0.0000 0.0000 0.0000  4 Ni 2.50
Ni: 0.5000 0.2661 0.7339  1 Ni 2.47, 2 Al 2.50
Ni: 0.5000 0.7339 0.2661  1 Ni 2.47, 2 Al 2.50

***

# 4
Material: YbAlNi
Method: DFT, r²SCAN
State: relaxed

Calculated values
Its total energy is -1.40171 Ry per atom. For the formation energy, the calculation gives -0.657 eV/atom.

a b c (Å): 3.8393 6.8039 6.8039
angles (deg): 120.00 90.00 90.00
With the nearest neighbours (Å) after each atom.
Atoms (fractional coordinates):
Yb: 0.5000 0.5840 0.5840  5 Ni 2.81-2.83, 6 Al 3.05-3.12
Yb: 0.5000 0.0000 0.4160  5 Ni 2.81-2.83, 6 Al 3.05-3.12
Yb: 0.5000 0.4160 0.0000  5 Ni 2.81-2.83, 6 Al 3.05-3.12
Al: 0.0000 0.2365 0.2365  4 Ni 2.51-2.66, 2 Al 2.79
Al: 0.0000 0.0000 0.7635  4 Ni 2.51-2.66, 2 Al 2.79
Al: 0.0000 0.7635 0.0000  4 Ni 2.51-2.66, 2 Al 2.79
Ni: 0.0000 0.6667 0.3333  3 Al 2.66, 6 Yb 2.81
Ni: 0.0000 0.3333 0.6667  3 Al 2.66, 6 Yb 2.81
Ni: 0.5000 0.0000 0.0000  6 Al 2.51

***

# 5
Material: ZrAlNi
Method: DFT, r²SCAN
State: relaxed

Calculated values
Its total energy is -1.06598 Ry per atom. For the formation energy, the calculation gives -0.682 eV/atom.

a b c (Å): 6.8741 6.8741 3.4819
angles (deg): 90.00 90.00 120.00
With the nearest neighbours (Å) after each atom.
Atoms (fractional coordinates):
Zr: 0.5901 0.0000 0.5000  5 Ni 2.71-2.82, 6 Al 2.93-3.01
Zr: 0.4099 0.4099 0.5000  5 Ni 2.71-2.82, 6 Al 2.93-3.01
Zr: 0.0000 0.5901 0.5000  5 Ni 2.71-2.82, 6 Al 2.93-3.01
Al: 0.2475 0.0000 0.0000  4 Ni 2.43-2.64
Al: 0.7525 0.7525 0.0000  4 Ni 2.43-2.64
Al: 0.0000 0.2475 0.0000  4 Ni 2.43-2.64
Ni: 0.0000 0.0000 0.5000  6 Al 2.43
Ni: 0.3333 0.6667 0.0000  3 Al 2.64, 6 Zr 2.71
Ni: 0.6667 0.3333 0.0000  3 Al 2.64, 6 Zr 2.71

***

# 6
Material: ZrAl5Ni2
Method: DFT, r²SCAN
State: relaxed

Calculated values
Its total energy is -0.78482 Ry per atom. For the formation energy, the calculation gives -0.631 eV/atom.

a b c (Å): 3.9943 3.9943 7.7654
____________

Type out the entries earlier on without altering anything.

# 1
Material: YAl4Ni
Method: DFT, r²SCAN
State: relaxed

Calculated values
Its total energy is -0.76856 Ry per atom. For the formation energy, the calculation gives -0.586 eV/atom.

a b c (Å): 4.0482 6.5621 7.9401
angles (deg): 90.00 104.77 90.00
With the nearest neighbours (Å) after each atom.
Atoms (fractional coordinates):
Y: 0.3825 0.7500 0.7651  13 Al 2.99-3.34, 2 Ni 3.14
Y: 0.6175 0.2500 0.2349  13 Al 2.99-3.34, 2 Ni 3.14
Al: 0.8105 0.0533 0.6211  3 Ni 2.37-2.47, 1 Al 2.58
Al: 0.1895 0.9467 0.3789  3 Ni 2.37-2.47, 1 Al 2.58
Al: 0.1895 0.5533 0.3789  3 Ni 2.37-2.47, 1 Al 2.58
Al: 0.8105 0.4467 0.6211  3 Ni 2.37-2.47, 1 Al 2.58
Al: 0.0000 0.5000 0.0000  6 Al 2.86-2.93, 4 Y 3.17
Al: 0.0000 0.0000 0.0000  6 Al 2.86-2.93, 4 Y 3.17
Al: 0.4229 0.2500 0.8458  1 Ni 2.29
Al: 0.5771 0.7500 0.1542  1 Ni 2.29
Ni: 0.2737 0.2500 0.5475  7 Al 2.29-2.47
Ni: 0.7263 0.7500 0.4525  7 Al 2.29-2.47

***

# 2
Material: YbAl2Ni
Method: DFT, r²SCAN
State: relaxed

Calculated values
Its total energy is -1.19052 Ry per atom. For the formation energy, the calculation gives -0.704 eV/atom.

a b c (Å): 5.3207 5.3207 6.8177
angles (deg): 90.00 90.00 135.65
With the nearest neighbours (Å) after each atom.
Atoms (fractional coordinates):
Yb: 0.4370 0.5630 0.2500  3 Ni 2.73-2.98, 4 Al 3.02
Yb: 0.5630 0.4370 0.7500  3 Ni 2.73-2.98, 4 Al 3.02
Al: 0.8456 0.1544 0.9460  3 Ni 2.44-2.48, 1 Al 2.67
Al: 0.1544 0.8456 0.0540  3 Ni 2.44-2.48, 1 Al 2.67
Al: 0.1544 0.8456 0.4460  3 Ni 2.44-2.48, 1 Al 2.67
Al: 0.8456 0.1544 0.5540  3 Ni 2.44-2.48, 1 Al 2.67
Ni: 0.7142 0.2858 0.2500  6 Al 2.44-2.48, 1 Yb 2.73
Ni: 0.2858 0.7142 0.7500  6 Al 2.44-2.48, 1 Yb 2.73

***

# 3
Material: Yb2AlNi2
Method: DFT, r²SCAN
State: relaxed

Calculated values
Its total energy is -1.57004 Ry per atom. For the formation energy, the calculation gives -0.611 eV/atom.

a b c (Å): 4.1386 5.2374 5.2374
angles (deg): 60.59 66.73 66.73
With the nearest neighbours (Å) after each atom.
Atoms (fractional coordinates):
Yb: 0.2022 0.2978 0.2978  6 Ni 2.78-2.91, 2 Al 3.10
Yb: 0.7978 0.7022 0.7022  6 Ni 2.78-2.91, 2 Al 3.10
Al: 0.0000 0.0000 0.0000  4 Ni 2.50
Ni: 0.5000 0.2661 0.7339  1 Ni 2.47, 2 Al 2.50
Ni: 0.5000 0.7339 0.2661  1 Ni 2.47, 2 Al 2.50

***

# 4
Material: YbAlNi
Method: DFT, r²SCAN
State: relaxed

Calculated values
Its total energy is -1.40171 Ry per atom. For the formation energy, the calculation gives -0.657 eV/atom.

a b c (Å): 3.8393 6.8039 6.8039
angles (deg): 120.00 90.00 90.00
With the nearest neighbours (Å) after each atom.
Atoms (fractional coordinates):
Yb: 0.5000 0.5840 0.5840  5 Ni 2.81-2.83, 6 Al 3.05-3.12
Yb: 0.5000 0.0000 0.4160  5 Ni 2.81-2.83, 6 Al 3.05-3.12
Yb: 0.5000 0.4160 0.0000  5 Ni 2.81-2.83, 6 Al 3.05-3.12
Al: 0.0000 0.2365 0.2365  4 Ni 2.51-2.66, 2 Al 2.79
Al: 0.0000 0.0000 0.7635  4 Ni 2.51-2.66, 2 Al 2.79
Al: 0.0000 0.7635 0.0000  4 Ni 2.51-2.66, 2 Al 2.79
Ni: 0.0000 0.6667 0.3333  3 Al 2.66, 6 Yb 2.81
Ni: 0.0000 0.3333 0.6667  3 Al 2.66, 6 Yb 2.81
Ni: 0.5000 0.0000 0.0000  6 Al 2.51

***

# 5
Material: ZrAlNi
Method: DFT, r²SCAN
State: relaxed

Calculated values
Its total energy is -1.06598 Ry per atom. For the formation energy, the calculation gives -0.682 eV/atom.

a b c (Å): 6.8741 6.8741 3.4819
angles (deg): 90.00 90.00 120.00
With the nearest neighbours (Å) after each atom.
Atoms (fractional coordinates):
Zr: 0.5901 0.0000 0.5000  5 Ni 2.71-2.82, 6 Al 2.93-3.01
Zr: 0.4099 0.4099 0.5000  5 Ni 2.71-2.82, 6 Al 2.93-3.01
Zr: 0.0000 0.5901 0.5000  5 Ni 2.71-2.82, 6 Al 2.93-3.01
Al: 0.2475 0.0000 0.0000  4 Ni 2.43-2.64
Al: 0.7525 0.7525 0.0000  4 Ni 2.43-2.64
Al: 0.0000 0.2475 0.0000  4 Ni 2.43-2.64
Ni: 0.0000 0.0000 0.5000  6 Al 2.43
Ni: 0.3333 0.6667 0.0000  3 Al 2.64, 6 Zr 2.71
Ni: 0.6667 0.3333 0.0000  3 Al 2.64, 6 Zr 2.71

***

# 6
Material: ZrAl5Ni2
Method: DFT, r²SCAN
State: relaxed

Calculated values
Its total energy is -0.78482 Ry per atom. For the formation energy, the calculation gives -0.631 eV/atom.

a b c (Å): 3.9943 3.9943 7.7654